# Exercise
Your job: start at the top of the block underneath and copy each line, ending with the one that has "[1.8352, -1.2711,".

# Contents
{
  "formula": "C51H39AsBrN3O2PS2V",
  "method": "ωB97M-V/def2-TZVPD",
  "symbols": ["V", "Br", "C", "C", "C", "C", "C", "N", "C", "O", "O", "H", "H", "H", "S", "C", "C", "C", "C", "C", "C", "C", "C", "C", "N", "H", "H", "H", "H", "H", "H", "N", "C", "C", "C", "C", "C", "C", "P", "C", "C", "C", "C", "C", "C", "C", "C", "C", "C", "C", "C", "H", "H", "H", "H", "H", "H", "H", "H", "H", "H", "H", "H", "H", "H", "H", "H", "S", "C", "C", "C", "C", "C", "C", "As", "C", "C", "C", "C", "C", "C", "C", "C", "C", "C", "C", "C", "H", "H", "H", "H", "H", "H", "H", "H", "H", "H", "H", "H", "H", "H"],
  "xyz": [[-1.0530, 0.4021, -0.3359], [-0.1393, 3.9737, -4.7925], [0.4528, 2.1781, -4.8800], [0.8910, 1.6540, -6.0914], [1.3028, 0.3338, -6.1083], [1.2624, -0.4063, -4.9348], [0.8052, 0.2254, -3.7932], [0.4050, 1.4980, -3.7578], [0.6802, -0.5011, -2.4899], [1.4193, -1.3863, -2.1327], [-0.3156, -0.0644, -1.7328], [0.8923, 2.2582, -6.9864], [1.6564, -0.1177, -7.0252], [1.5526, -1.4470, -4.8937], [-5.3484, -0.0585, 0.6796], [-5.2736, -0.2667, -1.0181], [-4.0059, -0.1807, -1.5095], [-3.0308, 0.0214, -0.4963], [-3.6337, 0.1479, 0.7374], [-2.8418, 0.4826, 1.8855], [-3.3380, 0.7517, 3.1617], [-2.4543, 1.0098, 4.1857], [-1.0842, 0.9420, 3.9325], [-0.6607, 0.6957, 2.6477], [-1.5119, 0.5305, 1.6210], [-6.1860, -0.4313, -1.5703], [-3.7920, -0.2533, -2.5674], [-4.4085, 0.7629, 3.3138], [-2.8155, 1.2489, 5.1771], [-0.3579, 1.0978, 4.7171], [0.3934, 0.6128, 2.4187], [2.0211, -1.1422, 0.8666], [1.7120, -2.3037, 1.5929], [2.6594, -2.8609, 2.4537], [2.3781, -4.0155, 3.1566], [1.1453, -4.6372, 3.0124], [0.1890, -4.0751, 2.1893], [0.4474, -2.8987, 1.4782], [-0.8806, -2.1421, 0.4640], [-2.3166, -2.6277, 1.4938], [-3.4367, -3.2569, 0.9599], [-4.4750, -3.6548, 1.7899], [-4.4114, -3.4200, 3.1546], [-3.3103, -2.7656, 3.6902], [-2.2699, -2.3747, 2.8653], [-1.0320, -3.2787, -0.9659], [-1.8018, -2.8611, -2.0515], [-2.0429, -3.7111, -3.1189], [-1.5072, -4.9903, -3.1167], [-0.7089, -5.3997, -2.0596], [-0.4663, -4.5511, -0.9893], [2.9920, -0.8957, 0.9984], [1.8352, -1.2711, -0.1248], [3.6287, -2.3853, 2.5511], [3.1321, -4.4428, 3.8045], [0.9291, -5.5535, 3.5447], [-0.7808, -4.5476, 2.1067], [-3.4989, -3.4482, -0.1040], [-5.3340, -4.1611, 1.3691], [-5.2096, -3.7570, 3.8030], [-3.2549, -2.5706, 4.7539], [-1.3985, -1.8939, 3.2932], [-2.2128, -1.8650, -2.0530], [-2.6525, -3.3764, -3.9489], [-1.7073, -5.6621, -3.9409], [-0.2787, -6.3927, -2.0667], [0.1687, -4.8827, -0.1804], [-2.0153, 2.4429, -0.8015], [-0.8888, 3.7966, -0.6659], [-1.4129, 5.0716, -0.8971], [-0.6105, 6.1872, -0.7564], [0.7200, 6.0503, -0.3740], [1.2392, 4.7908, -0.1449], [0.4451, 3.6524, -0.3014], [1.1789, 1.8785, -0.0333], [2.0948, 2.2966, 1.6561], [3.3399, 1.7788, 1.9923], [3.9081, 2.0547, 3.2281], [3.2389, 2.8540, 4.1413], [1.9955, 3.3782, 3.8144], [1.4236, 3.0912, 2.5853], [2.6827, 1.9460, -1.2947], [2.8126, 2.9872, -2.2078], [3.8707, 3.0161, -3.1022], [4.8190, 2.0033, -3.1014], [4.6888, 0.9498, -2.2107], [3.6228, 0.9173, -1.3248], [-2.4525, 5.1641, -1.1841], [-1.0272, 7.1691, -0.9400], [1.3492, 6.9233, -0.2623], [2.2743, 4.6779, 0.1550], [3.8894, 1.1823, 1.2743], [4.8796, 1.6459, 3.4745], [3.6890, 3.0798, 5.0989], [1.4705, 4.0152, 4.5146], [0.4500, 3.5002, 2.3433], [2.0830, 3.7797, -2.2379], [3.9480, 3.8368, -3.8042], [5.6511, 2.0316, -3.7925], [5.4123, 0.1450, -2.2054], [3.5179, 0.0639, -0.6688]],

# Solution
{
  "formula": "C51H39AsBrN3O2PS2V",
  "method": "ωB97M-V/def2-TZVPD",
  "symbols": ["V", "Br", "C", "C", "C", "C", "C", "N", "C", "O", "O", "H", "H", "H", "S", "C", "C", "C", "C", "C", "C", "C", "C", "C", "N", "H", "H", "H", "H", "H", "H", "N", "C", "C", "C", "C", "C", "C", "P", "C", "C", "C", "C", "C", "C", "C", "C", "C", "C", "C", "C", "H", "H", "H", "H", "H", "H", "H", "H", "H", "H", "H", "H", "H", "H", "H", "H", "S", "C", "C", "C", "C", "C", "C", "As", "C", "C", "C", "C", "C", "C", "C", "C", "C", "C", "C", "C", "H", "H", "H", "H", "H", "H", "H", "H", "H", "H", "H", "H", "H", "H"],
  "xyz": [[-1.0530, 0.4021, -0.3359], [-0.1393, 3.9737, -4.7925], [0.4528, 2.1781, -4.8800], [0.8910, 1.6540, -6.0914], [1.3028, 0.3338, -6.1083], [1.2624, -0.4063, -4.9348], [0.8052, 0.2254, -3.7932], [0.4050, 1.4980, -3.7578], [0.6802, -0.5011, -2.4899], [1.4193, -1.3863, -2.1327], [-0.3156, -0.0644, -1.7328], [0.8923, 2.2582, -6.9864], [1.6564, -0.1177, -7.0252], [1.5526, -1.4470, -4.8937], [-5.3484, -0.0585, 0.6796], [-5.2736, -0.2667, -1.0181], [-4.0059, -0.1807, -1.5095], [-3.0308, 0.0214, -0.4963], [-3.6337, 0.1479, 0.7374], [-2.8418, 0.4826, 1.8855], [-3.3380, 0.7517, 3.1617], [-2.4543, 1.0098, 4.1857], [-1.0842, 0.9420, 3.9325], [-0.6607, 0.6957, 2.6477], [-1.5119, 0.5305, 1.6210], [-6.1860, -0.4313, -1.5703], [-3.7920, -0.2533, -2.5674], [-4.4085, 0.7629, 3.3138], [-2.8155, 1.2489, 5.1771], [-0.3579, 1.0978, 4.7171], [0.3934, 0.6128, 2.4187], [2.0211, -1.1422, 0.8666], [1.7120, -2.3037, 1.5929], [2.6594, -2.8609, 2.4537], [2.3781, -4.0155, 3.1566], [1.1453, -4.6372, 3.0124], [0.1890, -4.0751, 2.1893], [0.4474, -2.8987, 1.4782], [-0.8806, -2.1421, 0.4640], [-2.3166, -2.6277, 1.4938], [-3.4367, -3.2569, 0.9599], [-4.4750, -3.6548, 1.7899], [-4.4114, -3.4200, 3.1546], [-3.3103, -2.7656, 3.6902], [-2.2699, -2.3747, 2.8653], [-1.0320, -3.2787, -0.9659], [-1.8018, -2.8611, -2.0515], [-2.0429, -3.7111, -3.1189], [-1.5072, -4.9903, -3.1167], [-0.7089, -5.3997, -2.0596], [-0.4663, -4.5511, -0.9893], [2.9920, -0.8957, 0.9984], [1.8352, -1.2711, -0.1248], [3.6287, -2.3853, 2.5511], [3.1321, -4.4428, 3.8045], [0.9291, -5.5535, 3.5447], [-0.7808, -4.5476, 2.1067], [-3.4989, -3.4482, -0.1040], [-5.3340, -4.1611, 1.3691], [-5.2096, -3.7570, 3.8030], [-3.2549, -2.5706, 4.7539], [-1.3985, -1.8939, 3.2932], [-2.2128, -1.8650, -2.0530], [-2.6525, -3.3764, -3.9489], [-1.7073, -5.6621, -3.9409], [-0.2787, -6.3927, -2.0667], [0.1687, -4.8827, -0.1804], [-2.0153, 2.4429, -0.8015], [-0.8888, 3.7966, -0.6659], [-1.4129, 5.0716, -0.8971], [-0.6105, 6.1872, -0.7564], [0.7200, 6.0503, -0.3740], [1.2392, 4.7908, -0.1449], [0.4451, 3.6524, -0.3014], [1.1789, 1.8785, -0.0333], [2.0948, 2.2966, 1.6561], [3.3399, 1.7788, 1.9923], [3.9081, 2.0547, 3.2281], [3.2389, 2.8540, 4.1413], [1.9955, 3.3782, 3.8144], [1.4236, 3.0912, 2.5853], [2.6827, 1.9460, -1.2947], [2.8126, 2.9872, -2.2078], [3.8707, 3.0161, -3.1022], [4.8190, 2.0033, -3.1014], [4.6888, 0.9498, -2.2107], [3.6228, 0.9173, -1.3248], [-2.4525, 5.1641, -1.1841], [-1.0272, 7.1691, -0.9400], [1.3492, 6.9233, -0.2623], [2.2743, 4.6779, 0.1550], [3.8894, 1.1823, 1.2743], [4.8796, 1.6459, 3.4745], [3.6890, 3.0798, 5.0989], [1.4705, 4.0152, 4.5146], [0.4500, 3.5002, 2.3433], [2.0830, 3.7797, -2.2379], [3.9480, 3.8368, -3.8042], [5.6511, 2.0316, -3.7925], [5.4123, 0.1450, -2.2054], [3.5179, 0.0639, -0.6688]],